The Tools I’m Using To Stop Procrastinating


This article was originally published by Forbes.

“I don’t need time, I need a deadline.” This Duke Ellington quote used to be my mantra. I’d find myself repeating it as a justification for the frenetic energy I brought to the last minute conclusion of every project. Duke Ellington was a respected leader in his field, I reasoned, so if he operated with this attitude, my own procrastination wasn’t a personal failing.

While some people enjoy the high levels of intensity and focus that can come from relying on deadlines, I’ve recently decided I no longer wanted to be motivated by an intense, often exhausting, push to the finish line. Sure, I always get the project done, but I’m motivated by guilt and stress.

My other key inspiration was what my friend Darcy Roake told me: when we procrastinate, the thing we want to do the least takes up the most time. Uff da! That sounds like the opposite of how I want to operate.

I called my coach Rebecca Aced-Molina for support. Here are the four questions we explored as we strategized about forging a different path.

1) How would things be different if I were able to stop procrastinating?

I described the ways I feel proud of myself when I do things in advance. Working more steadily helps me move through my work at a leisurely pace, which aligns with my core values of abundance, positivity, and joy.

If I could stop procrastinating or – more realistically – if I could create a healthier workflow, it would allow me to bring the ease and levity that I want to characterize my work.

2) What was the old story I was telling myself?

I used to believe that I needed frenetic energy and deadlines to get things done. There was also an underlying tension that there just wasn’t enough time or that I’d take too long on things if I allowed myself to start sooner.

The research on procrastination links it to perfectionism, which felt familiar – if I don’t give myself enough time to do something, it won’t be my fault if it isn’t perfect or my best work. There was comfort in being forced to just get it done, rather than obsessing about getting it just right.

3) What was the new story or intention I wanted to develop?

There were three intentions I found myself reflecting on as we brainstormed.  

  • I can trust myself to get things done.

  • I can create work structures that encourage safety, calm, and levity.

  • Working more intentionally throughout the project will generate more time, a more enjoyable process, and a better outcome.

My new mantra became joyful responsibility. I reminded myself that I like feeling responsible and that a lot of the projects that evoke procrastination are ones that I enjoy doing...once I’m actually doing them.

(Here the piece breaks off for materials data)
+++
No. 1
VASP calculation (GGA-PBE) on a relaxed structure of CeDy3Er2.

Calculated values
D(E_F): 1.7345 states/eV per atom
Total energy: -4.757 eV per atom
Symmetry: Cmmm (65)
Energy relative to the lowest polymorph listed for this composition: 0 meV per atom
Formation energy: 0.33 eV per formula unit
Theoretical density: 8.58 g/cm3

Lattice parameters (Å, degrees): 4.9978 9.9759 9.3252 122.34 105.54 90.00
Site moments in Bohr magnetons follow the coordinates.
Fractional coordinates of all 12 atoms:
Dy  0.5000  0.2500  0.0000  0.09
Dy  0.8354  0.0854  0.6708  0.02
Dy  0.1646  0.4146  0.3292  0.02
Dy  0.1646  0.9146  0.3292  0.02
Dy  0.8354  0.5854  0.6708  0.02
Dy  0.5000  0.7500  0.0000  0.09
Er  0.3329  0.3330  0.6659  0.01
Er  0.3331  0.8330  0.6659  0.01
Er  0.6669  0.1670  0.3341  0.01
Er  0.6671  0.6670  0.3341  0.01
Ce  0.0000  0.0000  0.0000  0.75
Ce  0.0000  0.5000  0.0000  0.75



No. 2
VASP calculation (GGA-PBE) on a relaxed structure of In2SbIr.

Calculated values
D(E_F): 0.0000 states/eV per atom
Total energy: -4.176 eV per atom
Symmetry: I-42d (122)
Theoretical density: 7.07 g/cm3
ΔE_f (raw): 439 meV/atom

Lattice parameters (Å, degrees): 6.3255 6.3255 7.7911 66.05 66.05 90.00
Fractional coordinates of all 8 atoms:
Sb  0.2500  0.7500  0.5000
Sb  0.5000  0.5000  0.0000
In  0.0881  0.6250  0.2500
In  0.6619  0.1250  0.2500
In  0.8750  0.9119  0.7500
In  0.3750  0.3381  0.7500
Ir  0.0000  0.0000  0.0000
Ir  0.7500  0.2500  0.5000



No. 3
VASP calculation (GGA-PBE) on a relaxed structure of CaLaY.

Calculated values
D(E_F): 1.9624 states/eV per atom
Total energy: -3.746 eV per atom
Symmetry: F-43m (216)
Energy relative to the lowest polymorph listed for this composition: 680 meV per atom
Formation energy: 2.15 eV per formula unit
Theoretical density: 3.42 g/cm3

Lattice parameters (Å, degrees): 5.6885 5.6885 5.6885 60.00 60.00 60.00
Fractional coordinates of all 3 atoms:
Ca  0.0000  0.0000  0.0000
Y  0.7500  0.7500  0.7500
La  0.5000  0.5000  0.5000



No. 4
VASP calculation (GGA-PBE) on a relaxed structure of LiB2C2.

Calculated values
D(E_F): 0.1757 states/eV per atom
Total energy: -6.767 eV per atom
Symmetry: Pm (6)
Energy relative to the lowest polymorph listed for this composition: 46 meV per atom
Formation energy: -0.12 eV per formula unit
Theoretical density: 1.87 g/cm3

Lattice parameters (Å, degrees): 8.8076 8.6969 2.7259 90.00 90.00 116.72
Fractional coordinates of all 20 atoms:
C  0.2987  0.5132  0.5000
C  0.5130  0.7931  0.0000
C  0.9828  0.7094  0.0000
C  0.0320  0.2918  0.0000
C  0.4745  0.2067  0.0000
C  0.7785  0.0390  0.5000
C  0.7279  0.4560  0.5000
C  0.1998  0.9909  0.5000
B  0.8087  0.5452  0.0000
B  0.5546  0.2864  0.5000
B  0.9496  0.2127  0.5000
B  0.4403  0.7063  0.5000
B  0.2811  0.0690  0.0000
B  0.2240  0.4350  0.0000
B  0.6922  0.9532  0.0000
B  0.0603  0.7994  0.5000
Li  0.7514  0.2478  0.0000
Li  0.0347  0.5207  0.5000
Li  0.9857  0.9937  0.0000
Li  0.4600  0.9802  0.5000



No. 5
+++

4) What supportive systems can I put in place to help foster this new approach?

I needed a few strong and consistent mechanisms to build the new habit of joyful responsibility.

  • Recognize habits that aren’t serving me.
    As a justification to linger in bed for longer, I’d been starting my day reading email on my phone. Someone once told me, “When you start your day with your inbox, your day is determined by what other people need from you, rather than what you want and need.” I’d get up distracted, having already lost my focus before I brushed my teeth.

    By charging my phone in the bathroom rather than next to my bed I’ve safeguarded against an email malaise first thing in the morning.

  • Start the day with intention setting.
    I often use the Five Minute Journal as a way to start my day. Each morning, I write three things I’m grateful for, three ways that “I’m going to make my day great,” and an affirmation.

    In my new process, I identify and commit to completing a “challenge project”, a difficult and likely-to-evoke-procrastination project or activity. I write, “I’m going to make my day great by completing today’s challenge project: ______” and fill in the blank.

    For my affirmation, I write, “I can trust myself to get things done. My intention is joyful responsibility”.

  • Do the hardest thing first.
    Research indicates that our self-control deteriorates over the course of the day, so we’re most likely to get a difficult or dreaded task done first thing in the morning.

    If I start my day with a meeting, this model isn’t always realistic, but the pattern still works if I dedicate my first block of working or computer time to my challenge project.

  • Divide projects into smaller bites.
    For example, I record short videos about some of the articles I write. Prior to my coaching call with Aced-Molina, I’d sit myself in front of the camera to workshop video content for three to five articles. It was torture and made me dread the entire process.

    Now, the first day’s challenge project can be to develop outlines of what I want to share in the videos, and the second day’s challenge project can be to actually start recording.

    Even if it’s just 20-minutes dedicated to my challenge project, I’m going to consider that a win.

    Aced-Molina reminded that I need to build trust within myself that I can sustain this practice, so I need to demonstrate consistency. I don’t want to get frustrated with myself or give up because I take on too much right out the gate.

  • Celebrate.
    While well into my thirties, I’m still motivated by stickers. I’ve made myself a chart of my work days and will give myself a sticker to celebrate each day I complete my challenge project. I’ll also include my challenge project under “Joyful Responsibility” in my daily and weekly Ta-Da lists, which I share with a friend and accountability buddy.

After having spent decades using deadlines for motivation, I’m not going to immediately kick my patterns of procrastination. As my grandmother says, “I didn’t get into this mess overnight, and I’m not going to get out of it overnight.”

What I can do is set my intention of joyful responsibility and build in strategies to support my new desired patterns of behavior. I’m curious and a little excited about the prospect.


Lelia Gowland